┌──
Entry 1:
46
Properties=species:S:1:pos:R:3:mulliken_charge:R:1 method="wB97M-V/def2-TZVPD" e_homo_ev=-7.060 de_lowest_kcal_mol=20.41 orbital_gap_ev=6.3
Au 0.448 -0.446 -0.045 1.125
C 0.225 2.924 0.137 -1.213
C -1.208 2.472 0.129 0.597
C -2.260 3.407 0.015 -0.807
C -3.544 2.956 -0.025 -0.877
C -3.813 1.570 0.009 1.107
C -5.127 1.063 -0.072 -0.802
C -5.322 -0.289 -0.088 -0.649
C -4.229 -1.169 -0.026 -0.486
C -2.926 -0.722 0.084 0.748
S -1.649 -1.918 0.171 -0.519
C -2.703 0.693 0.113 -0.733
N -1.439 1.181 0.208 0.330
H 0.297 4.006 0.232 0.465
H 0.697 2.624 -0.801 0.190
H 0.772 2.447 0.951 0.137
H -2.036 4.464 -0.029 0.416
H -4.377 3.646 -0.099 0.390
H -5.957 1.754 -0.140 0.354
H -6.323 -0.694 -0.160 0.370
H -4.398 -2.237 -0.071 0.416
N -0.075 -0.434 4.148 -0.048
C 1.193 0.096 4.227 -0.574
C 1.643 0.161 2.949 -0.458
N 0.670 -0.322 2.103 0.124
C -0.353 -0.670 2.855 -0.224
H -0.694 -0.621 4.918 0.202
H 1.650 0.368 5.160 0.408
H 2.593 0.515 2.590 0.443
H -1.269 -1.104 2.480 0.329
C 2.840 -0.353 -0.189 -1.796
C 3.239 -1.241 -1.265 0.876
C 3.665 -2.544 -0.984 -0.415
C 4.071 -3.398 -1.994 -0.565
C 4.013 -2.986 -3.317 -0.376
C 3.570 -1.703 -3.615 -0.647
C 3.199 -0.839 -2.606 -0.183
H 2.793 0.712 -0.377 0.642
H 3.046 -0.662 0.827 0.459
H 3.685 -2.868 0.051 0.322
H 4.426 -4.393 -1.756 0.372
H 4.308 -3.659 -4.111 0.375
H 3.508 -1.382 -4.647 0.371
H 2.857 0.161 -2.840 0.400
N 0.031 -0.208 -3.110 -0.666
C 0.267 -0.358 -1.991 0.073

---

Entry 2:
126
Properties=species:S:1:pos:R:3:mulliken_charge:R:1 method="wB97M-V/def2-TZVPD" e_homo_ev=-11.535 orbital_gap_ev=5.5 total_charge=+1
F 0.359 0.080 -0.779 -0.247
C -0.438 0.212 -2.056 0.415
F -1.450 -0.879 -1.999 -0.162
F 0.546 0.087 -3.155 -0.197
C -1.123 1.736 -1.952 0.602
F -2.218 1.568 -0.924 -0.157
F -0.026 2.617 -1.484 -0.257
C -1.865 2.206 -3.329 0.490
F -0.964 2.187 -4.544 -0.264
F -2.868 1.111 -3.628 -0.254
C -2.713 3.580 -3.293 0.618
F -4.115 3.223 -2.863 -0.251
F -2.867 4.063 -4.715 -0.258
C -2.219 4.793 -2.344 0.520
F -3.292 5.857 -2.467 -0.299
F -2.192 4.501 -0.875 -0.247
C -0.846 5.586 -2.867 0.511
F -1.363 6.509 -3.947 -0.285
F 0.134 4.707 -3.536 -0.225
C -0.063 6.369 -1.660 0.830
F -1.003 7.211 -0.839 -0.273
F 0.579 5.425 -0.669 -0.257
C 1.156 7.362 -2.149 0.399
F 1.517 8.176 -0.926 -0.304
F 0.782 8.345 -3.189 -0.244
C 2.536 6.497 -2.510 0.325
C 2.929 6.093 -4.084 -0.132
C 4.306 5.165 -4.275 -0.301
C 5.067 4.808 -2.829 -0.224
N 4.615 5.276 -1.492 -0.844
N 3.471 6.011 -1.428 0.415
H 2.301 6.416 -5.016 0.390
H 4.696 4.766 -5.302 0.367
H 6.053 4.134 -2.875 0.418
H 3.171 6.295 -0.444 0.336
C 3.547 -2.912 -1.382 -1.535
C 4.557 -1.785 -1.460 0.778
C 3.961 -0.448 -1.781 -0.257
O 5.059 0.237 -2.359 -0.313
C 5.857 -0.723 -2.922 0.584
O 6.796 -0.495 -3.662 -0.584
O 5.451 -1.974 -2.545 -0.373
H 3.018 -2.894 -0.424 0.368
H 2.804 -2.840 -2.183 0.457
H 4.041 -3.883 -1.496 0.320
H 5.154 -1.753 -0.540 0.026
H 3.598 0.078 -0.893 0.348
H 3.157 -0.493 -2.524 0.120
C 3.435 12.705 -5.179 -1.442
C 3.339 11.197 -5.062 0.577
C 3.887 10.645 -3.781 -0.516
O 4.223 9.317 -4.150 -0.247
C 4.504 9.350 -5.489 0.623
O 5.004 8.432 -6.113 -0.556
O 4.154 10.557 -6.030 -0.339
H 2.640 13.191 -4.604 0.379
H 4.397 13.075 -4.810 0.348
H 3.357 13.018 -6.225 0.364
H 2.304 10.874 -5.234 0.234
H 3.155 10.650 -2.970 0.304
H 4.801 11.147 -3.443 0.302
C -4.691 1.068 0.989 -1.436
C -5.565 0.069 1.721 0.560
C -5.049 -0.321 3.073 -0.530
O -5.640 -1.596 3.261 -0.183
C -5.821 -2.122 2.009 0.581
O -6.138 -3.276 1.784 -0.556
O -5.590 -1.178 1.047 -0.348
H -4.857 2.081 1.367 0.434
H -3.628 0.830 1.104 0.260
H -4.904 1.052 -0.086 0.334
H -6.596 0.441 1.771 0.252
H -5.360 0.371 3.861 0.343
H -3.960 -0.440 3.109 0.302
C 7.264 -6.608 0.176 -1.524
C 7.072 -5.105 0.218 0.728
C 8.272 -4.347 0.698 -0.526
O 7.691 -3.153 1.194 -0.313
C 6.423 -3.481 1.593 0.696
O 5.690 -2.751 2.235 -0.573
O 6.093 -4.742 1.177 -0.351
H 7.831 -6.903 -0.712 0.392
H 7.801 -6.968 1.060 0.338
H 6.296 -7.121 0.164 0.379
H 6.728 -4.745 -0.760 0.165
└──
Give back the lines further above up to the one that holds "-2.875 0.418", that line included.
Entry 1:
46
Properties=species:S:1:pos:R:3:mulliken_charge:R:1 method="wB97M-V/def2-TZVPD" e_homo_ev=-7.060 de_lowest_kcal_mol=20.41 orbital_gap_ev=6.3
Au 0.448 -0.446 -0.045 1.125
C 0.225 2.924 0.137 -1.213
C -1.208 2.472 0.129 0.597
C -2.260 3.407 0.015 -0.807
C -3.544 2.956 -0.025 -0.877
C -3.813 1.570 0.009 1.107
C -5.127 1.063 -0.072 -0.802
C -5.322 -0.289 -0.088 -0.649
C -4.229 -1.169 -0.026 -0.486
C -2.926 -0.722 0.084 0.748
S -1.649 -1.918 0.171 -0.519
C -2.703 0.693 0.113 -0.733
N -1.439 1.181 0.208 0.330
H 0.297 4.006 0.232 0.465
H 0.697 2.624 -0.801 0.190
H 0.772 2.447 0.951 0.137
H -2.036 4.464 -0.029 0.416
H -4.377 3.646 -0.099 0.390
H -5.957 1.754 -0.140 0.354
H -6.323 -0.694 -0.160 0.370
H -4.398 -2.237 -0.071 0.416
N -0.075 -0.434 4.148 -0.048
C 1.193 0.096 4.227 -0.574
C 1.643 0.161 2.949 -0.458
N 0.670 -0.322 2.103 0.124
C -0.353 -0.670 2.855 -0.224
H -0.694 -0.621 4.918 0.202
H 1.650 0.368 5.160 0.408
H 2.593 0.515 2.590 0.443
H -1.269 -1.104 2.480 0.329
C 2.840 -0.353 -0.189 -1.796
C 3.239 -1.241 -1.265 0.876
C 3.665 -2.544 -0.984 -0.415
C 4.071 -3.398 -1.994 -0.565
C 4.013 -2.986 -3.317 -0.376
C 3.570 -1.703 -3.615 -0.647
C 3.199 -0.839 -2.606 -0.183
H 2.793 0.712 -0.377 0.642
H 3.046 -0.662 0.827 0.459
H 3.685 -2.868 0.051 0.322
H 4.426 -4.393 -1.756 0.372
H 4.308 -3.659 -4.111 0.375
H 3.508 -1.382 -4.647 0.371
H 2.857 0.161 -2.840 0.400
N 0.031 -0.208 -3.110 -0.666
C 0.267 -0.358 -1.991 0.073

---

Entry 2:
126
Properties=species:S:1:pos:R:3:mulliken_charge:R:1 method="wB97M-V/def2-TZVPD" e_homo_ev=-11.535 orbital_gap_ev=5.5 total_charge=+1
F 0.359 0.080 -0.779 -0.247
C -0.438 0.212 -2.056 0.415
F -1.450 -0.879 -1.999 -0.162
F 0.546 0.087 -3.155 -0.197
C -1.123 1.736 -1.952 0.602
F -2.218 1.568 -0.924 -0.157
F -0.026 2.617 -1.484 -0.257
C -1.865 2.206 -3.329 0.490
F -0.964 2.187 -4.544 -0.264
F -2.868 1.111 -3.628 -0.254
C -2.713 3.580 -3.293 0.618
F -4.115 3.223 -2.863 -0.251
F -2.867 4.063 -4.715 -0.258
C -2.219 4.793 -2.344 0.520
F -3.292 5.857 -2.467 -0.299
F -2.192 4.501 -0.875 -0.247
C -0.846 5.586 -2.867 0.511
F -1.363 6.509 -3.947 -0.285
F 0.134 4.707 -3.536 -0.225
C -0.063 6.369 -1.660 0.830
F -1.003 7.211 -0.839 -0.273
F 0.579 5.425 -0.669 -0.257
C 1.156 7.362 -2.149 0.399
F 1.517 8.176 -0.926 -0.304
F 0.782 8.345 -3.189 -0.244
C 2.536 6.497 -2.510 0.325
C 2.929 6.093 -4.084 -0.132
C 4.306 5.165 -4.275 -0.301
C 5.067 4.808 -2.829 -0.224
N 4.615 5.276 -1.492 -0.844
N 3.471 6.011 -1.428 0.415
H 2.301 6.416 -5.016 0.390
H 4.696 4.766 -5.302 0.367
H 6.053 4.134 -2.875 0.418